## Brief
Could you quote the whole of the notes further down without additions?

## File
-- begin --
1.
Computed, not measured: C3H3F2N as an isolated structure, with wB97M-V/def2-TZVPD.

XYZ file:
```
9
Properties=species:S:1:pos:R:3:forces:R:3:nbo_charge:R:1
F 0.153754 -0.264766 -2.119987 0.1 -0.3 4.4 -0.456
F 0.568155 -1.820270 -0.394659 -0.6 1.7 0.3 -0.291
N -0.684247 0.824725 0.896559 -1.6 -1.2 -0.4 -0.283
C -1.169731 -0.072626 0.091323 -1.8 -0.4 1.0 0.009
C 0.686762 0.559518 0.517951 0.9 0.0 -0.8 -0.323
C 0.136378 -0.537006 -0.436563 0.8 -0.5 -3.9 0.670
H 1.397583 0.322244 1.280135 -0.1 -1.2 1.0 0.222
H 1.170615 1.438079 0.177475 0.2 0.9 -1.5 0.226
H -2.259268 -0.449898 -0.012236 2.0 0.9 0.0 0.226
```
Forces are in eV/Å.

The total energy is -370.49254 Ha. The value obtained for the relative energy (zero: lowest compared OMol25 entry of this formula, charge and spin) is 2.6533 eV. The HOMO energy is -11.49 eV. The HOMO-LUMO gap comes out at 11.369 eV.


2.
Computed, not measured: a 2-piece molecular cluster, C3H3F2NO overall, with wB97M-V/def2-TZVPD.

XYZ file:
```
10
Properties=species:S:1:pos:R:3:forces:R:3:nbo_charge:R:1
F -1.945279 0.342449 -0.869400 0.1 0.4 0.0 -0.325
F 0.011948 -0.582332 2.337127 -0.6 1.2 -1.5 -0.479
O 0.659127 1.221615 0.594676 -0.2 0.8 0.6 -0.196
N -0.549398 0.868832 0.872858 0.3 -0.3 2.2 0.220
C -0.953026 -0.156825 -0.056627 0.1 -1.6 -0.7 0.221
C 1.214116 0.407969 -0.368444 -0.5 -1.6 -1.1 0.100
C 0.312100 -0.461757 -0.820339 0.2 0.8 0.6 -0.265
H 0.397526 -1.218509 -1.569693 0.2 -0.2 -0.2 0.249
H 2.246073 0.588262 -0.594879 0.1 0.1 0.0 0.232
H -1.393186 -1.009704 0.474722 0.4 0.3 0.1 0.242
```
Forces are in eV/Å.

The total energy is -445.63993 Ha. The value obtained for the relative energy (zero: lowest compared OMol25 entry of this formula, charge and spin) is 5.1039 eV. The HOMO energy (alpha / beta) is -11.20 / -10.26 eV. The HOMO-LUMO gap (alpha / beta) comes out at 9.161 / 7.944 eV.


3.
Computed, not measured: one molecule with the formula C3H3F2P3, with wB97M-V/def2-TZVPD.

XYZ file:
```
11
Properties=species:S:1:pos:R:3:forces:R:3:nbo_charge:R:1
P 0.406006 0.586863 1.840983 -1.7 -0.2 -2.2 0.805
P -1.588024 0.517272 -0.518538 1.3 0.2 0.0 1.196
P 1.854894 1.055095 -1.035619 -1.2 -0.4 0.8 1.114
F -2.222227 -0.955343 -0.608143 -0.2 -0.4 0.0 -0.578
F 1.741077 2.542472 -0.342988 -0.4 -1.0 -0.3 -0.579
C -1.204940 0.649004 1.236857 1.1 1.6 2.7 -1.066
C 0.187445 -0.008785 -0.913910 0.0 3.1 1.8 -0.775
C 1.144422 -0.098068 0.225623 -0.5 0.5 1.0 -0.875
H 0.224644 -0.578440 -1.773369 0.2 -1.7 -1.6 0.246
H -1.846238 1.183416 2.045023 0.5 -1.2 -1.7 0.262
H 1.555611 -1.012448 0.605434 0.9 -0.6 -0.6 0.251
```
Forces are in eV/Å.

The total energy is -1339.88385 Ha. The value obtained for the relative energy (zero: lowest compared OMol25 entry of this formula, charge and spin) is 0.2836 eV. Its structure (SMILES) is FP1C=P[C@H]2[C@@H]1P2F. The HOMO energy is -9.20 eV. The HOMO-LUMO gap comes out at 8.388 eV.


4.
Computed, not measured: a 2-piece molecular cluster, C3H3F3 overall, with wB97M-V/def2-TZVPD.

XYZ file:
```
9
Properties=species:S:1:pos:R:3:forces:R:3:nbo_charge:R:1
F 0.914503 -2.215273 0.029032 -0.1 0.8 0.2 -0.352
F 2.168533 -0.927411 -1.191285 -1.7 0.0 0.0 -0.346
F 0.252355 -1.794566 -1.929517 0.1 1.0 -0.3 -0.326
C -1.140146 1.481425 0.520744 -0.6 1.1 -1.0 -0.528
C -0.239681 0.602769 0.788321 1.8 -2.4 0.1 -0.097
C 0.863326 -1.233385 -0.897412 1.2 -0.8 1.1 0.963
H -1.583081 1.962448 -0.382052 0.8 -1.2 0.3 0.245
H -1.513452 1.989993 1.367888 -0.5 0.6 1.3 0.220
H 0.277643 0.134001 1.694282 -1.0 0.9 -1.6 0.222
```
Forces are in eV/Å.

The total energy is -415.52579 Ha. The value obtained for the relative energy (zero: lowest compared OMol25 entry of this formula, charge and spin) is 4.5255 eV. The HOMO energy (alpha / beta) is -10.17 / -9.26 eV. The HOMO-LUMO gap (alpha / beta) comes out at 9.898 / 8.445 eV.


5.
Computed, not measured: one molecule with the formula C3H3F3O, with wB97M-V/def2-TZVPD.

XYZ file:
```
10
Properties=species:S:1:pos:R:3:forces:R:3:nbo_charge:R:1
-- stop --

## Here it is
1.
Computed, not measured: C3H3F2N as an isolated structure, with wB97M-V/def2-TZVPD.

XYZ file:
```
9
Properties=species:S:1:pos:R:3:forces:R:3:nbo_charge:R:1
F 0.153754 -0.264766 -2.119987 0.1 -0.3 4.4 -0.456
F 0.568155 -1.820270 -0.394659 -0.6 1.7 0.3 -0.291
N -0.684247 0.824725 0.896559 -1.6 -1.2 -0.4 -0.283
C -1.169731 -0.072626 0.091323 -1.8 -0.4 1.0 0.009
C 0.686762 0.559518 0.517951 0.9 0.0 -0.8 -0.323
C 0.136378 -0.537006 -0.436563 0.8 -0.5 -3.9 0.670
H 1.397583 0.322244 1.280135 -0.1 -1.2 1.0 0.222
H 1.170615 1.438079 0.177475 0.2 0.9 -1.5 0.226
H -2.259268 -0.449898 -0.012236 2.0 0.9 0.0 0.226
```
Forces are in eV/Å.

The total energy is -370.49254 Ha. The value obtained for the relative energy (zero: lowest compared OMol25 entry of this formula, charge and spin) is 2.6533 eV. The HOMO energy is -11.49 eV. The HOMO-LUMO gap comes out at 11.369 eV.


2.
Computed, not measured: a 2-piece molecular cluster, C3H3F2NO overall, with wB97M-V/def2-TZVPD.

XYZ file:
```
10
Properties=species:S:1:pos:R:3:forces:R:3:nbo_charge:R:1
F -1.945279 0.342449 -0.869400 0.1 0.4 0.0 -0.325
F 0.011948 -0.582332 2.337127 -0.6 1.2 -1.5 -0.479
O 0.659127 1.221615 0.594676 -0.2 0.8 0.6 -0.196
N -0.549398 0.868832 0.872858 0.3 -0.3 2.2 0.220
C -0.953026 -0.156825 -0.056627 0.1 -1.6 -0.7 0.221
C 1.214116 0.407969 -0.368444 -0.5 -1.6 -1.1 0.100
C 0.312100 -0.461757 -0.820339 0.2 0.8 0.6 -0.265
H 0.397526 -1.218509 -1.569693 0.2 -0.2 -0.2 0.249
H 2.246073 0.588262 -0.594879 0.1 0.1 0.0 0.232
H -1.393186 -1.009704 0.474722 0.4 0.3 0.1 0.242
```
Forces are in eV/Å.

The total energy is -445.63993 Ha. The value obtained for the relative energy (zero: lowest compared OMol25 entry of this formula, charge and spin) is 5.1039 eV. The HOMO energy (alpha / beta) is -11.20 / -10.26 eV. The HOMO-LUMO gap (alpha / beta) comes out at 9.161 / 7.944 eV.


3.
Computed, not measured: one molecule with the formula C3H3F2P3, with wB97M-V/def2-TZVPD.

XYZ file:
```
11
Properties=species:S:1:pos:R:3:forces:R:3:nbo_charge:R:1
P 0.406006 0.586863 1.840983 -1.7 -0.2 -2.2 0.805
P -1.588024 0.517272 -0.518538 1.3 0.2 0.0 1.196
P 1.854894 1.055095 -1.035619 -1.2 -0.4 0.8 1.114
F -2.222227 -0.955343 -0.608143 -0.2 -0.4 0.0 -0.578
F 1.741077 2.542472 -0.342988 -0.4 -1.0 -0.3 -0.579
C -1.204940 0.649004 1.236857 1.1 1.6 2.7 -1.066
C 0.187445 -0.008785 -0.913910 0.0 3.1 1.8 -0.775
C 1.144422 -0.098068 0.225623 -0.5 0.5 1.0 -0.875
H 0.224644 -0.578440 -1.773369 0.2 -1.7 -1.6 0.246
H -1.846238 1.183416 2.045023 0.5 -1.2 -1.7 0.262
H 1.555611 -1.012448 0.605434 0.9 -0.6 -0.6 0.251
```
Forces are in eV/Å.

The total energy is -1339.88385 Ha. The value obtained for the relative energy (zero: lowest compared OMol25 entry of this formula, charge and spin) is 0.2836 eV. Its structure (SMILES) is FP1C=P[C@H]2[C@@H]1P2F. The HOMO energy is -9.20 eV. The HOMO-LUMO gap comes out at 8.388 eV.


4.
Computed, not measured: a 2-piece molecular cluster, C3H3F3 overall, with wB97M-V/def2-TZVPD.

XYZ file:
```
9
Properties=species:S:1:pos:R:3:forces:R:3:nbo_charge:R:1
F 0.914503 -2.215273 0.029032 -0.1 0.8 0.2 -0.352
F 2.168533 -0.927411 -1.191285 -1.7 0.0 0.0 -0.346
F 0.252355 -1.794566 -1.929517 0.1 1.0 -0.3 -0.326
C -1.140146 1.481425 0.520744 -0.6 1.1 -1.0 -0.528
C -0.239681 0.602769 0.788321 1.8 -2.4 0.1 -0.097
C 0.863326 -1.233385 -0.897412 1.2 -0.8 1.1 0.963
H -1.583081 1.962448 -0.382052 0.8 -1.2 0.3 0.245
H -1.513452 1.989993 1.367888 -0.5 0.6 1.3 0.220
H 0.277643 0.134001 1.694282 -1.0 0.9 -1.6 0.222
```
Forces are in eV/Å.

The total energy is -415.52579 Ha. The value obtained for the relative energy (zero: lowest compared OMol25 entry of this formula, charge and spin) is 4.5255 eV. The HOMO energy (alpha / beta) is -10.17 / -9.26 eV. The HOMO-LUMO gap (alpha / beta) comes out at 9.898 / 8.445 eV.


5.
Computed, not measured: one molecule with the formula C3H3F3O, with wB97M-V/def2-TZVPD.

XYZ file:
```
10
Properties=species:S:1:pos:R:3:forces:R:3:nbo_charge:R:1